Diagrama de temas

  • All biological compounds are impacted directly or indirectly by hydrogen bonds.

    Proteins, which make up so much of our structures and enzymes, are full of hydrogen bonds. 


    Similarly, carbohydrates and nucleic acids also are dependent on hydrogen bonds in their 3-Dimensional structure.

-- Molecular data, kept here for reference --
********
Here is C9H20Br4FeN as an isolated structure from the Open Molecules 2025 dataset. Energies are from wB97M-V/def2-TZVPD.

Properties
Multiplicity: 5
Gap between HOMO and LUMO (spin up / spin down) (eV): 6.5 / 6.1
E_HOMO (spin up / spin down) (eV): -4.778 / -4.369
E (Ha): -11969.66042
Total charge: -1
E_LUMO (spin up / spin down) (eV): 1.7193 / 1.7188
Relative energy (zero: lowest compared OMol25 entry of this formula, charge and spin) (kJ/mol): 0.0

Structure (XYZ):
```
35
Properties=species:S:1:pos:R:3:forces:R:3:mulliken_charge:R:1
Fe 19.94198 -4.89296 -15.84499 -0.4 0.0 0.1 0.41
C 23.39927 -6.45999 -24.62670 -0.9 -0.3 -0.5 -1.17
C 21.94344 -6.97986 -24.60736 0.5 -0.1 0.3 -0.79
C 21.32918 -7.16905 -23.20691 -0.8 -0.4 -1.1 -0.31
C 21.16119 -5.88242 -22.42347 0.4 -0.1 0.6 -0.83
N 20.43178 -6.04481 -21.12138 -0.2 -0.4 0.9 0.55
C 20.16473 -4.70449 -20.45637 0.7 1.3 -0.2 -0.70
C 18.86272 -4.75979 -19.64758 1.2 -0.6 -0.9 0.66
C 18.22590 -6.05401 -20.12661 -1.2 -0.8 0.7 -0.78
C 19.05558 -6.64526 -21.23693 -0.5 1.2 -1.6 -0.70
C 21.22779 -6.90543 -20.17116 -0.3 0.0 -0.3 -0.58
H 23.98581 -6.90983 -23.82780 0.0 0.3 0.2 0.31
H 23.37137 -5.37194 -24.59976 0.4 0.0 0.4 0.30
H 23.86903 -6.74665 -25.56812 0.0 0.1 0.0 0.38
H 21.87460 -7.95153 -25.10037 0.2 -0.1 0.1 0.41
H 21.29741 -6.33996 -25.21265 0.0 0.2 0.1 0.36
H 21.83253 -7.97943 -22.67991 0.4 0.4 0.2 0.35
H 20.36542 -7.62584 -23.45877 -0.3 0.3 0.4 0.27
H 20.67346 -5.09179 -22.99220 -0.3 -0.2 -0.1 0.33
H 22.13529 -5.47932 -22.14075 0.1 0.0 0.0 0.39
H 21.03557 -4.36626 -19.88897 0.0 -0.6 0.4 0.35
H 20.11616 -3.94730 -21.24377 -0.3 -0.3 -0.3 0.32
H 19.07077 -4.84244 -18.60178 0.1 0.3 0.6 -0.75
H 18.30673 -3.85331 -19.86568 -0.3 -0.1 0.2 0.45
H 18.13864 -6.80909 -19.34208 0.1 0.4 0.4 0.20
H 17.20828 -5.84487 -20.46052 0.0 -0.3 -0.2 0.40
H 19.06944 -7.72679 -21.33423 0.2 0.0 0.3 0.46
H 18.64919 -6.22940 -22.16684 0.2 -0.2 -0.2 0.40
H 22.17835 -6.40531 -20.01215 0.0 -0.1 0.3 0.32
H 21.35394 -7.88858 -20.62004 0.1 0.1 -0.1 0.30
H 20.63989 -7.05664 -19.26171 0.2 0.4 0.3 0.06
Br 19.47769 -7.26537 -16.84569 0.1 0.1 -0.1 -0.67
Br 20.44855 -5.11340 -13.46139 0.0 0.0 -0.1 -0.50
Br 21.82920 -3.94804 -17.22111 -0.1 -0.1 -0.2 -0.58
Br 17.77318 -3.57900 -16.26654 0.4 -0.2 -0.1 -0.64
```
Positions in Å, forces in eV/Å.

=====

Here is C9H20Br4NZn as an isolated structure from the Open Molecules 2025 dataset. Energies are from wB97M-V/def2-TZVPD.

Properties
Gap between HOMO and LUMO (eV): 3.4
E_HOMO (eV): -4.929
E (Ha): -12484.91602
Total charge: -1
E_LUMO (eV): -1.5256

Structure (XYZ):
```
35
Properties=species:S:1:pos:R:3:forces:R:3:mulliken_charge:R:1
Zn 0.55798 -7.72060 -0.27717 -0.2 -0.1 0.2 0.77
C 2.56243 1.96362 -2.57840 0.9 2.1 0.0 -1.30
C 1.25565 1.22790 -2.70430 0.4 -1.0 0.0 -0.61
C 0.18203 1.57713 -1.66548 -0.2 -1.6 -0.5 -0.35
C 0.58891 0.97173 -0.32604 1.4 1.2 0.6 -0.98
N -0.47251 0.81160 0.73408 -1.2 -0.8 -0.4 0.24
C 0.00170 0.78801 2.20461 -0.8 0.9 -0.5 -0.54
C -1.10812 1.57633 2.96114 0.6 0.0 1.0 -0.47
********


    And Deoxyribonucleic acid (DNA):

/*
This record from the Open Molecules 2025 dataset describes a molecular structure, C8H10AsBF6MgN2O16. The level of theory is ωB97M-V with the def2-TZVPD basis set.

Computed properties:
E_HOMO (alpha / beta) (eV): -7.054 / -7.035
HOMO-LUMO gap (alpha / beta) (eV): 8.0 / 3.7
Charge: -1
E (Ha): -4684.3205
2S+1: 2
LUMO level (alpha / beta) (eV): 0.96 / -3.32

The geometry in XYZ format:
```
45
Properties=species:S:1:pos:R:3:forces:R:3:lowdin_charge:R:1
As -2.42980 -1.81874 -1.72316 -2.5 -0.3 -1.4 0.93
Mg 0.87949 -0.37651 -0.71717 -0.4 0.3 1.6 0.59
F -2.97708 -0.45746 -0.72146 0.9 -1.0 -0.7 -0.25
F -0.71162 -1.43553 -1.28063 -1.0 -0.3 -0.4 -0.27
F -2.50807 -2.92549 -0.36071 0.1 0.9 -0.8 -0.24
F -4.16214 -2.07763 -2.19538 2.2 0.0 0.6 -0.29
F -2.23028 -0.76828 -3.15185 0.1 -0.7 1.3 -0.27
F -1.88340 -3.20503 -2.73449 -0.2 1.4 1.0 -0.28
O -0.03823 1.01704 -1.80585 -0.6 -0.2 -0.6 0.09
O 1.88450 -1.35057 -2.05150 2.5 -2.0 0.4 -0.24
O -1.13820 2.56726 1.41455 0.9 -3.2 0.3 0.23
O -3.66667 6.00391 3.00953 1.7 -3.1 -0.8 0.09
O -1.53236 2.39192 -2.38000 -0.6 0.4 0.1 0.29
O 4.33990 0.36470 0.86788 -1.6 -2.0 0.3 0.01
O -0.81042 6.10979 3.91094 -1.2 -1.2 -0.4 0.12
O 0.37120 3.05007 -1.81163 0.8 2.2 0.4 0.31
O -0.87976 3.99262 3.33268 1.6 -3.8 -0.1 0.26
O -2.98538 3.87683 2.45871 -1.2 -2.6 -1.6 0.25
O -2.14883 1.84858 3.46629 0.4 -0.2 -0.8 0.25
O 2.39909 0.65672 -0.17316 -0.7 -1.1 0.3 -0.08
O -1.57681 -0.36546 3.35193 -0.6 2.8 -1.4 0.12
O 1.09177 -2.08925 0.33985 0.6 -0.7 -0.1 -0.28
O 4.17853 1.70797 -0.71042 -0.9 -0.3 -1.2 0.00
O -0.08365 0.51469 0.87481 -3.2 2.9 2.7 0.04
N 3.62956 0.82426 -0.03241 3.5 3.6 0.5 -0.56
N -0.40907 2.16958 -1.96600 0.1 -1.8 -0.6 -0.53
C 1.55782 -1.70923 -3.36340 -1.6 -0.6 -0.6 -0.06
C -2.86664 5.05343 2.90623 -0.4 5.2 2.4 -0.39
C -1.40196 5.12937 3.48179 -0.2 4.6 0.5 -0.42
C -0.84103 1.24240 1.59679 0.8 -0.1 -2.1 -0.17
C 2.05530 -3.02265 -0.21077 -1.3 0.3 1.2 -0.14
C 0.20224 -2.58571 1.39779 0.9 0.0 -1.2 0.01
C -1.64330 0.78007 2.89345 1.8 -2.6 1.2 -0.33
C 2.72264 -2.39806 -1.40401 0.5 1.4 0.6 -0.09
B -1.77709 3.04649 2.67605 -0.7 1.0 0.1 -0.82
H 0.88505 -2.56508 -3.30860 -0.2 -0.2 -0.2 0.10
H -0.48472 -1.75824 1.57526 0.0 -0.4 0.2 0.07
H -0.26340 -3.47481 0.97260 -0.4 0.1 0.3 0.09
H 0.95687 -0.89090 -3.76000 0.3 0.0 -0.3 0.11
H 0.81085 -2.83924 2.26578 -0.1 0.1 0.1 0.10
H 3.07987 -3.18156 -2.07230 -0.3 0.4 -0.4 0.14
H 1.62945 -3.98564 -0.49255 -0.6 0.0 0.3 0.13
H 2.39511 -2.00956 -3.99336 0.3 0.6 0.2 0.10
H 2.78876 -3.14283 0.58653 0.3 -0.5 -0.2 0.14
H 3.59199 -1.91419 -0.95883 0.1 0.5 -0.7 0.13
```
Positions in Å, forces in eV/Å.

=====

Here is a molecular structure, C2O3Zn in a non-equilibrium geometry from the Open Molecules 2025 dataset. Energies are from ωB97M-V/def2-TZVPD.

Each line ends with the natural charge from an NBO analysis.
Positions of all 6 atoms, in Å:
O: 1.88191 -0.34965 -0.33415  -0.73
C: 2.79665 -1.01662 -0.42125  0.77
O: -1.13519 1.03189 0.87869  -0.84
C: -1.97557 0.14933 0.55712  0.89
*/


    Hydrogen bonds give us many of the coolest things in nature.  

    • Why water bugs can walk on water
    • The reason geckos can walk on walls
    • The reason water in plant vesicles seem to go AGAINST gravity in capillary action
    • Why paper towels "soak" water

    Surface Tension:  (from Chemwiki)

    Surface tension is the energy, or work, required to increase the surface area of a liquid due to intermolecular forces. Since these intermolecular forces vary depending on the nature of the liquid (e.g. water vs. gasoline) or solutes in the liquid (e.g. surfactants like detergent), each solution exhibits differing surface tension properties.


    Whether you know it or not, you already have seen surface tension at work. Whenever you fill a glass of water too far, you may notice afterward that the level of the water in the glass is actually higher than the height of the glass (Figure 1 below). You may have also noticed that the water that you spilled has formed into pools that rise up off the counter. Both of these phenomena are due to surface tension.


    How Does It Work?

    In a sample of water, there are two types of molecules. Those that are on the outside, exterior, and those that are on the inside, interior. The interior molecules are attracted to all the molecules around them, while the exterior molecules are attracted to only the other surface molecules and to those below the surface. This makes it so that the energy state of the molecules on the interior is much lower than that of the molecules on the exterior. Because of this, the molecules try to maintain a minimum surface area, thus allowing more molecules to have a lower energy state. This is what creates what is referred to as surface tension. An illustration of this can be seen in figure 1 below.

    figure 1.jpg

    The water molecules attract one another due to the water's polar property. The hydrogen ends, which are positive in comparison to the negative ends of the oxygen cause water to "stick" together. This is why there is surface tension and takes a certain amount of energy to break these intermolecular bonds. Same goes for other liquids, even hydrophobic liquids such as oil. There are forces between the liquid such as Van der Waals forces that are responsible for the intermolecular forces found within the liquid. It will then take a certain amount of energy to break these forces, and the surface tension. Water is one liquid known to have a very high surface tension value and is difficult to overcome.

    And as for those plants, that can be explained with Capillary action:

    Capillary Action (from Chemwiki)

    Scientific principles have the knack of explaining abnormal events that occur around us. A liquid, like water, ascending up a narrow tube naturally is not considered as a typical occurrence. Since, water and other liquids in general flows with the gravitational forces, it requires specific circumstances and physical effect to flow against the forces of gravity. This scientific phenomenon is called capillary action. The transportation of water from the roots to leaves of the tree happens due to the underlying principles of cohesion and transpiration.


    Capillary action can be defined as the ascension of liquids through slim tube, cylinder or permeable substance due to adhesive and cohesive forces interacting between the liquid and the surface. When intermolecular bonding of a liquid itself is substantially inferior to a substances’ surface it is interacting, capillarity occursAlso, the diameter of the container as well as the gravitational forces will determine amount of liquid raised. While, water possesses this unique property, a liquid like mercury will not display the same attributes due to the fact that it has higher cohesive force than adhesive force.

    Forces in Capillary Action

    Three main variables that determine whether a liquid possesses capillary action are:

    • Cohesive force: It is the intermolecular bonding of a substance where its mutual attractiveness forces them to maintain a certain shape of the liquid. 
    • Surface tension: This occurs as a result of like molecules, cohesive forces, banding together to form a somewhat impenetrable surface on the body of water. The surface tension is measured in Newton/meter.   
    • Adhesive force: When forces of attraction between unlike molecules occur, it is called adhesive forces. 

    Capillary action only occurs when the adhesive forces are stronger than the cohesive forces, which invariably becomes surface tension, in the liquid.

    A good way to remember the difference between adhesive and cohesive forces is that with adhesive forces you add another set of molecules, the molecules of the surface, for the liquid to bond with. With cohesive forces, the molecules of the liquid will only cooperate with their own kind. Decreased surface tension also increases capillary action. This is because decreased surface tension means that the intermolecular forces are decreased, thus decreasing cohesive forces. As a result, capillary action will be even greater.


    800px-Water_Strider1.jpg  hg h20 meniscus.png

Records of molecules, kept here for reference
=====
[1]
The following is a quantum chemistry calculation of C12F10OPtSSe4 as an isolated structure, from OMol25.

```
29
Properties=species:S:1:pos:R:3:forces:R:3
Pt 0.214615 -0.918533 0.350791 -0.33 0.20 -0.11
Se -0.830671 -2.737889 1.763039 0.02 -0.09 -0.09
Se -1.907708 -0.983065 2.884820 -0.03 0.02 0.04
Se -0.203301 0.588262 3.308389 -0.02 -0.01 0.07
Se 0.342030 1.411269 1.179148 0.12 0.13 -0.17
F 6.345810 2.197034 -1.246009 0.01 0.01 0.00
C 5.391837 1.410682 -0.709345 0.03 0.00 0.01
C 4.262485 1.082072 -1.430594 -0.05 -0.01 0.00
F 4.128288 1.548236 -2.685428 0.01 0.00 0.00
C 3.289858 0.261693 -0.884209 0.02 0.01 -0.08
F 2.268569 -0.049718 -1.687349 0.03 -0.01 0.01
C 3.384632 -0.255965 0.408558 -0.07 -0.10 0.24
S 2.242991 -1.337313 1.196812 0.38 -0.17 0.11
C 4.548583 0.096143 1.100173 0.04 0.04 -0.03
F 4.754775 -0.349915 2.348402 -0.02 -0.03 0.01
C 5.533728 0.903387 0.567611 -0.03 0.00 -0.04
F 6.631759 1.210202 1.285187 0.00 0.01 0.00
F -6.923407 -0.017616 -0.478191 0.00 0.00 0.01
C -5.580626 -0.179448 -0.547530 0.00 0.04 0.00
C -5.032095 -1.387072 -0.930843 0.03 -0.04 0.01
F -5.851065 -2.418032 -1.232120 -0.02 -0.01 0.00
C -3.662961 -1.543871 -1.006721 -0.09 0.02 0.00
F -3.197119 -2.740286 -1.398598 0.03 0.00 -0.02
C -2.745483 -0.506680 -0.721236 0.06 -0.26 0.19
O -1.481069 -0.694776 -0.875733 -0.08 0.27 -0.09
C -3.353769 0.709040 -0.333872 -0.03 -0.03 -0.07
F -2.600216 1.779640 -0.069731 0.02 0.03 -0.02
C -4.724335 0.865029 -0.254931 0.00 -0.03 0.01
F -5.246134 2.057487 0.099509 -0.01 0.01 0.01
```
Positions in Å, forces in eV/Å.

As for the LUMO energy: 4.51 eV. The charge is -2. For the HOMO energy, the calculation gives -1.1 eV. As for the energy above the lowest of the compared OMol25 structures with the same formula, charge and spin: 25.8 kcal per mole.


[2]
The following is a quantum chemistry calculation of C12H10BrMnN2O4 as an isolated structure, from OMol25.

```
30
Properties=species:S:1:pos:R:3:forces:R:3
Mn 4.542768 0.198256 -2.649349 -2.37 0.02 1.38
Br 2.030768 0.124336 -2.870299 2.07 0.08 -0.28
C -2.412272 -1.187194 -1.046519 0.77 1.23 -0.09
C -1.338172 -0.412314 -1.587459 -2.07 0.60 1.60
C -1.577002 0.942626 -1.812899 -0.44 0.12 -0.78
C -2.885542 1.453076 -1.724989 -0.38 -0.50 -0.36
C -3.949762 0.675176 -1.223529 0.94 0.59 -0.19
C -3.691192 -0.620524 -0.778989 1.80 -0.52 -0.71
N -3.278842 2.775556 -2.386399 0.07 0.89 -1.10
O -4.419072 2.891326 -2.805169 0.07 -0.98 0.89
O -2.460472 3.659686 -2.612269 0.54 -1.29 1.00
H -2.138012 -2.194934 -0.771499 -0.51 -0.24 0.11
H -0.306062 -0.730114 -1.599779 -0.17 -0.50 -0.29
H -0.735832 1.513866 -2.176949 -0.25 0.53 -0.02
H -4.923512 1.142076 -1.208499 -0.12 -0.17 0.15
H -4.400782 -1.245384 -0.257039 -0.33 0.19 -0.21
C 0.658948 -1.166954 2.780001 0.50 0.12 1.28
C 1.808518 -0.911464 3.554681 -1.84 -0.85 -0.86
C 2.987438 -0.495214 2.961491 0.07 -0.37 2.74
C 3.041398 -0.367734 1.616631 -0.50 -0.44 -2.14
C 1.920968 -0.792264 0.845111 1.70 1.59 -0.89
C 0.711838 -1.077494 1.418081 0.25 -0.51 -0.46
=====

     Figure 2:The scientific properties of surface tension and cohesion allow the water strider to calmly walk across water without drowning. http://commons.wikimedia.org/wiki/File:Water_Strider.jpg. Figure 4: It is possible to see that in water, the strength of the adhesive forces are larger than the strength of the cohesive forces. This results in the concave formation of water in the capillary tube; this is known as capillary attraction. Alternatively for mercury, the cohesive forces are stronger than the adhesive forces which allows the the meniscus to bend away from the walls of the capillary tube. This is known as capillary Repulsion. ​ http://commons.wikimedia.org/wiki/File:Capillary_Attraction_Repulsion_(PSF)(bjl).svg

     Figure 1.jpg Figure 3.jpg

    So what happens with Surface Tension in Microgravity?

    Watch this clip from Plasma Ben: 

    How this impacts your microgravity experiment design:

    And now, as you design your experiments  for microgravity, you must consider the differences in bonds. What will happen?  

    Here are some historical uses of chemical bonding in space exploration: 

    You may add more historical uses to the Feedback forum at the end of this course.

    Here are some other links to articles relating to hydrogen bonding or surface tension in microgravity: